
Cannabinoids (also called) cannabis are plant-derived addictive substances which have been used widely for thousands of years [1]. Despite their known therapeutic effects, because of their addictive properties, they cause the most prevalent health problem in the world.

The widespread use of cannabinoids or their synthetic derivatives exert many adverse effects on the health of human beings including pulmonary, endocrine, and cardiovascular pathologies, as well as cognitive and behavioral disorders. Synthetic cannabinoids (SCs) first emerged in the year 2004, and in a short time, it has become popular especially among adolescents [2]. In Turkey, it is known as “bonsai” [3].

Their widespread effects on the gastrointestinal system manifest themselves through their specific receptors in the brain and bowels. As a result of their chronic use, delay in gastric emptying and hyperemesis can be enumerated among their other harmful gastric effects. In the literature, development of acute pancreatitis following cannabinoid use has been reported [4]. In patients with acute pancreatitis, increased probability of developing peptic ulcer disease (PUD) has been found. In this case report, we indicated unusual clinical condition of an adolescent who was admitted to the emergency service with symptoms of acute abdomen.

Case report

A 16-year-old male patient was referred to our emergency service from another center with abdominal distension, complaints of gradually increasing abdominal pain, and bilious vomiting persisting occasionally for the previous 15 days. The patient came from Southeastern Anatolia. His medical history revealed that he had been regularly using bonsai for the previous 3 years. His family was not aware of his addiction. On physical examination, abdominal distension, widespread tenderness, abdominal guarding, and washboard abdomen were detected on palpation. His biochemical parameters at his admission into the hospital were as follows: white blood cell count, 8.42 × 109/μL (neutrophils, 64.6 %; lymphocytes, 29.4 %); CRP, 0.23 mg/L; hemoglobin, 10.3 g/dL; Htc, 33.2 %; platelet count, 589 × 109/μL; glucose, 114 mg/dL; Na, 135 mEq/L; K, 4.17 mmol/L; Cl 100 mmol/L; aspartate transaminase, 18 U/L; alanine transaminase, 7 U/L; lactate dehydrogenase, 261 U/L; BUN, 10.3 mg/dL; and creatinine, 0.81 mg/dL. History of trauma, alcohol consumption, regular drug use, and chronic disease could not be elicited.

Plain abdominal radiogram in standing position demonstrated subdiaphragmatic free air (Fig. 1). In nasogastric decompression, bilious drainage was observed. In abdominal ultrasound (US), free fluid collections were detected between bowel loops and also between the liver and the duodenum. Exploration through midline incision revealed the presence of diffuse pus and free fluid in the abdominal cavity. All bowel loops were covered with fibrin, and a perforated area on the first part of the duodenum measuring nearly 1 cm in diameter was detected (Fig. 2). Primary closure was performed using an omental patch (Graham patch), and abdominal cavity was irrigated with physiologic saline. A drain was placed in the subhepatic region, and the abdomen was closed in compliance with proper surgical principles. Postoperative course progressed without any complication. Antibiotherapy and gastroprotective medication were used. On the 5th postoperative day, oral alimentation was started, and his drain was removed on the 7th postoperative day. He was discharged with the prescription of oral antibiotherapy and proton pump inhibitors.

Fig. 1
figure 1

Plain abdominal radiogram: subdiaphragmatic free air

Fig. 2
figure 2

Perforated area of the first part of the duodenum


Since PUD is a rarely seen entity in adolescents, most of the physicians do not suspect the presence of this clinical diagnosis in a child who is referred to the emergency service with complaint of abdominal pain. Acid and pepsin are important factors in the development of PUD. Stress, trauma, major surgeries, Helicobacter pylori infection, burns, familial predisposition, systemic diseases, and some drugs (NSAIDs and steroids) are other predisposing factors [5]. However, in our case, none of these predisposing factors were found. From the patient’s history, it was learnt that he was a bonsai user for 2 years. Perforation is one of the serious complications detected in bonsai users, and diagnosis is usually made following the development of a complication.

Pathognomonic findings of this condition which was firstly defined by Travers in the year 1817 are sudden onset of abdominal pain, generalized peritonitis, and washboard abdomen which were also present in our case. In nearly 90 % of the patients, subdiaphragmatic free air is found, as is the case with our patient [6]. In the US, we also detected intraabdominal free fluid.

[Records of molecules that have nothing to do with the piece]
Here is a structure of composition C2H6AsF6N2O6RhS from the OMol25 dataset. Energies are from ωB97M-V with the def2-TZVPD basis set.

E_LUMO (spin up / spin down), eV: -5.516 / -6.778
Multiplicity: 2
Charge: +1

Element x y z (Å)
Rh -1.1705 1.3722 0.7721
C 0.2375 -2.5812 -2.9831
O -0.1895 -2.5579 -1.6004
C 0.3699 -1.8058 -0.7033
O 0.0490 -1.6783 0.4347
N 1.5217 -1.0245 -1.1451
N 2.0745 -0.2734 -0.2362
H -0.4253 -3.2880 -3.4675
H 1.2627 -2.9436 -3.0595
H 0.1053 -1.5972 -3.4327
H 1.8747 -0.9748 -2.0925
H 2.8378 0.3415 -0.4853
H 1.6517 -0.3124 0.6965
F 0.5700 0.8732 1.8337
As -0.2897 1.0796 3.5156
F 0.9380 2.1458 3.9418
F 0.4750 -0.3133 4.0591
F -1.3001 1.3549 4.8192
F -1.5213 0.1318 2.6332
F -1.0830 2.4292 2.5385
O -1.1926 0.5362 -1.0998
S -1.6491 1.9774 -1.3777
O -1.8975 2.3825 -2.6929
O -2.7265 2.0614 -0.3023
O -0.5226 2.6646 -0.5661

Here is a structure of composition C2H6AsN2O2RhS4 in a non-equilibrium geometry from the OMol25 dataset. Energies are from ωB97M-V with the def2-TZVPD basis set.

E_LUMO (spin up / spin down), eV: -2.335 / -1.312
Multiplicity: 1

Element x y z (Å)
Rh 1.4914 -0.5137 0.0881
S 1.6201 -4.5236 -1.4100
As 1.8984 -3.5962 0.4076
S 0.2430 -2.1659 0.8949
S 3.1832 -1.8013 -0.1740
S 2.6913 -4.4889 2.0717
C -2.2307 1.7812 -1.9673
O -1.8616 1.9633 -0.5783
C -0.7480 1.3688 -0.2127
O -0.0238 0.7188 -0.9581
N -0.4564 1.5591 1.0979
N 0.6401 0.8406 1.5971
H -3.1323 2.3685 -2.0953
H -2.4183 0.7279 -2.1580
H -1.4339 2.1426 -2.6114
H -1.1234 1.9900 1.7179
H 0.3353 0.1571 2.2905
H 1.3255 1.4717 1.9995

Here is a structure of composition C2H6BF4N2O8S3 in a non-equilibrium geometry from the OMol25 dataset. Energies are from ωB97M-V with the def2-TZVPD basis set.

E_LUMO, eV: 1.833
Multiplicity: 1
Charge: -1

Element x y z (Å)
O 0.2747 -0.5629 -0.6884
S -1.0504 -0.3587 -1.0748
O -1.9967 -0.9305 -0.2160
F -1.3438 -0.9681 -2.4836
N -1.3390 1.2541 -1.1368
C -2.4526 1.6256 -2.0362
C -3.5864 2.1117 -1.1228
F -4.7231 2.4027 -1.8353
B -0.0799 2.0336 -1.3571
O 0.5970 2.4856 -0.2473
O 0.3892 2.3514 -2.5897
H -2.2023 2.4536 -2.6930
H -2.8401 0.8096 -2.6365
H -3.2115 2.9860 -0.5903
H -3.7478 1.3295 -0.3851
H 0.0554 3.2018 0.1187
H 1.3331 2.1461 -2.6652
N 3.4793 -3.0747 2.0520
S 2.1979 -2.2199 1.6765
O 2.1963 -0.8642 2.1246
O 0.9508 -2.9121 1.6869
F 2.4901 -2.0624 0.1181
S 3.6080 -3.3888 3.5868
O 4.9113 -3.8599 3.9310
O 2.5013 -4.0473 4.2034
F 3.5893 -1.9418 4.2598

Here is a cluster of 2 separate species, C2H6BrClN2 in total in a non-equilibrium geometry from the OMol25 dataset. Energies are from ωB97M-V with the def2-TZVPD basis set.

SMILES: C=NN(C)Cl.Br
E_LUMO, eV: -0.095
Multiplicity: 1

Element x y z (Å)
C -0.2191 1.8978 -0.6503
N -0.7796 0.7604 -1.0388
N -0.5865 -0.4055 -0.5818
C -1.1598 -1.6115 -1.0503
Cl 0.8052 -0.7475 0.6583
H -0.7918 2.7907 -1.0033
H 0.4591 1.7903 0.1671
H -1.3650 -1.5510 -2.1732
H -0.3735 -2.3456 -0.7010
H -1.9772 -1.8074 -0.4266
Br 3.2960 1.2312 3.3284
H 2.6921 -0.0020 3.4716
[End of the records of molecules]

In addition to their some therapeutic effects, SCs can demonstrate many deleterious effects. More than ten kinds of SCs have been produced so far, and bonsai is just one of them [3]. As is known, it is widely used among youngsters. According to the World Drug Report released from the United Nations Office on Drugs and Crime, SCs have been the most prevalently used new psychoactive substances worldwide [7]. SCs were imported in Turkey in the year 2010, and their use is gradually increasing [3].

By binding to cannabinoid binding (CB) receptors, SCs imitate the effects of natural cannabinoids. CB1 and CB2 receptors are mainly found in neurons and immune-mediated cells; however, their presence in GIS has been also confirmed. In animal studies, inhibitory effects of cannabinoids and CB1 receptor agonists on gastric motility and contractility have been demonstrated. In clinical use, they exert their therapeutic effects via CBI receptors in the treatment of hyperemesis in patients receiving chemotherapy. Paradoxically, Choung et al. [8] emphasized the presence of a correlation between their chronic use and hyperemesis.

Besides, cannabinoids bind to CBI receptors in nucleus tractus solitarius with potential resultant effects on lower esophageal sphincter. Their diverse effects on the stomach have been also demonstrated. They also delay gastric emptying. In the literature, a patient who developed acute gastric dilation and hepatic portal venous gas was also reported [9]. Administration of a cannabinoid receptor antagonist anandamide to mice with cerulein-induced pancreatitis increased the severity of pancreatitis, a phenomenon which cannot be explained clearly.

Effect of cannabinoids on the pancreatic canal and Oddi’s sphincter may contribute to aggravation of pancreatitis [10]. The effect of cannabinoids on gastric secretions and emptying could be the cause of gastric and duodenal ulcers present in our patient. We think that cannabinoids binding to CB1 receptors led to the development of this condition. As is seen in our case, in the literature, duodenal perforations due to formation of ulcerations generally had small sizes (0.5–1 cm), and they could be treated easily. In this case report, we presented an unusual manifestation of chronic SC use.

In our case, Naranjo score was +3; the mean of this score is possible adverse drug reactions [11].

== Misplaced molecular data ==
┌──
Model one:
C7H14O | ωB97M-V with the def2-TZVPD basis set

Geometry as XYZ:
```
22
Properties=species:S:1:pos:R:3
C -1.20 -0.32 1.13
C -0.92 -0.34 -0.17
C -1.88 -0.85 -1.19
C 0.38 0.19 -0.69
C 1.44 -0.61 -0.77
C 0.42 1.66 -1.06
C 0.69 2.58 0.13
H -0.48 0.08 1.83
H -2.08 -0.72 1.58
H -1.41 -1.54 -1.89
H -2.75 -1.35 -0.77
H -2.24 -0.02 -1.83
H 2.38 -0.20 -1.15
H 1.58 -1.61 -0.41
H -0.53 1.85 -1.58
H 1.15 1.79 -1.86
H 0.15 3.49 -0.02
H 1.74 2.74 0.28
H 0.32 2.14 1.05
O 1.00 -2.63 2.57
H 1.07 -2.94 1.67
H 1.18 -3.38 3.16
```

SMILES: C=C(C)C(=C)CC.O
Orbital gap in eV: 10.1
HOMO energy in Eh: -0.34136

=====

Model two:
C7H14O | ωB97M-V with the def2-TZVPD basis set

Geometry as XYZ:
```
22
Properties=species:S:1:pos:R:3
C 2.15 -2.04 -1.09
C 1.23 -0.82 -1.25
C 1.04 0.07 -0.03
C -0.14 0.16 0.66
C -1.33 -0.60 0.59
C -2.41 -0.23 1.38
C 2.25 0.90 0.34
H 1.77 -2.64 -0.29
H 3.13 -1.80 -0.74
H 2.19 -2.52 -2.06
H 1.79 -0.15 -1.96
H 0.15 -1.05 -1.63
H -0.17 1.10 1.30
H -1.38 -1.45 -0.11
H -3.30 -0.83 1.51
H -1.78 0.46 2.52
H 2.40 1.61 -0.55
H 3.09 0.23 0.52
H 2.18 1.47 1.29
H -2.47 1.45 0.27
H -3.00 1.74 -1.09
O -2.66 2.23 -0.31
```

Orbital gap in eV: 8.7
HOMO energy in Eh: -0.31068

=====

Result of the stability comparison: model two is the least stable of them.

=====

Model one:
C7H14O | ωB97M-V with the def2-TZVPD basis set

Geometry as XYZ:
```
22
Properties=species:S:1:pos:R:3
C -2.47 -0.74 0.17
C -2.36 -0.44 -1.16
C -1.00 -0.08 -1.55
C -0.90 0.94 -2.42
C 0.31 -0.79 -1.22
C 0.75 -0.43 0.20
C 1.16 1.04 0.48
H -1.52 -1.07 0.62
H -3.47 -0.68 0.67
H -3.15 -0.24 -1.78
H 0.00 1.39 -2.58
H -1.67 1.51 -2.54
H 0.34 -1.90 -1.42
H 1.08 -0.72 -1.99
H 1.68 -1.07 0.34
H 0.00 -0.77 0.96
H 1.74 1.37 -0.41
H 1.50 1.22 1.59
H 0.31 1.66 0.32
O 2.86 -0.17 4.10
H 2.42 -0.71 3.51
H 2.38 0.70 4.09
```

SMILES: C=CC(=C)CCC.O
Orbital gap in eV: 9.5
HOMO energy in Eh: -0.32181

=====

Model two:
C7H14O | ωB97M-V with the def2-TZVPD basis set

Geometry as XYZ:
```
22
Properties=species:S:1:pos:R:3
C -0.21 1.35 0.21
C -0.06 0.37 -0.66
C -0.17 0.56 -2.16
C 0.21 -1.01 -0.33
C -0.83 -1.95 -0.26
C 1.61 -1.43 -0.10
C 2.03 -0.92 1.37
H -0.16 1.16 1.37
H -0.38 2.39 -0.11
H -1.05 0.24 -2.57
H -0.09 1.66 -2.44
H 0.54 -0.07 -2.75
H -0.85 -3.07 -0.02
H -1.76 -1.70 -0.64
H 2.23 -0.97 -0.89
H 1.65 -2.56 -0.34
H 2.91 -0.42 1.33
H 1.90 -1.68 2.13
H 1.33 -0.14 1.73
O -3.37 2.76 1.66
H -2.66 2.34 1.20
H -2.83 3.08 2.27
```

SMILES: C=C(C)C(=C)CC.O
Orbital gap in eV: 9.9
HOMO energy in Eh: -0.33278

=====

Result of the stability comparison: model one is the least stable of them.

=====

Model one:
C7H14O | ωB97M-V with the def2-TZVPD basis set

Geometry as XYZ:
```
22
Properties=species:S:1:pos:R:3
C 2.81 -0.62 -0.62
C 1.74 -1.30 -1.02
C 1.21 -2.49 -0.28
C -0.25 -2.30 0.09
H 3.16 0.25 -1.17
H 3.38 -0.88 0.25
H 1.20 -0.96 -1.89
H 1.35 -3.39 -0.88
H 1.82 -2.63 0.61
H -0.86 -2.01 -0.77
H -0.72 -3.17 0.56
H -0.31 -1.50 0.83
C -1.21 1.05 2.14
C -1.67 1.16 0.91
C -1.54 2.41 0.09
O -0.94 2.07 -1.16
└──
== So much for the molecular data ==

We achieved this score from the answers of the questions shown below.

  1. (1)

    Are there previous conclusive reports on this reaction? = yes (+1 point).

  2. (2)

    Did the adverse reaction improve when the drug was discontinued? = yes (+1 point).

  3. (3)

    Are there alternative causes that could have caused the reaction? = no (+1 point).

The other questions answers were as follows: do not know or not done (0 point).


Development of duodenal perforation due to the chronic use of SC is an unusual condition. These patients can consult to the emergency service with recurrent abdominal pain. Since their use is forbidden by law, the patients do not tell that they are using SC in their anamnesis. In order to determine etiology, it is important to investigate the use of addictive substances which are increasingly popular among adolescent cases admitted to the emergency services with PUD or its complications.


Written informed consent was obtained from the patient’s legal guardian(s) for the publication of this case report and accompanying images. A copy of the written consent is available for review by the Editor-in-Chief of this journal.